-- To do --
It remains to type out everything further down without altering anything.

-- Data --
- - -
(1)
This record from Alexandria describes La2DyY3Te6 after structural relaxation. The functional is PBE.

Summary:
**Energy**: -69.5 eV/f.u.

Cell: 9.9192 9.9192 8.9239 Å, 103.13 103.13 25.70°
Fractional coordinates of all 12 atoms:
La: 0.1674 0.1674 0.3341
La: 0.8326 0.8326 0.6659
Dy: 0.5000 0.5000 0.0000
Y: 0.1713 0.1713 0.8346
Y: 0.5000 0.5000 0.5000
Y: 0.8287 0.8287 0.1654
Te: 0.0052 0.0052 0.7537
Te: 0.3360 0.3360 0.9291
Te: 0.3376 0.3376 0.4080
Te: 0.6624 0.6624 0.5920
Te: 0.6640 0.6640 0.0709
Te: 0.9948 0.9948 0.2463

(2)
This record from Alexandria describes La3DyY2Te6 after structural relaxation. The functional is PBE.

Summary:
**Energy**: -68.6 eV/f.u.

Cell: 10.0228 10.0228 9.0124 Å, 103.89 103.89 25.59°
Fractional coordinates of all 12 atoms:
La: 0.0000 0.0000 0.0000
La: 0.3332 0.3332 0.6666
La: 0.6668 0.6668 0.3334
Dy: 0.0000 0.0000 0.5000
Y: 0.3332 0.3332 0.1666
Y: 0.6668 0.6668 0.8334
Te: 0.1628 0.1628 0.5921
Te: 0.1702 0.1702 0.0744
Te: 0.4965 0.4965 0.2597
Te: 0.5035 0.5035 0.7403
Te: 0.8298 0.8298 0.9256
Te: 0.8372 0.8372 0.4079
- - -

-- Here it is --
(1)
This record from Alexandria describes La2DyY3Te6 after structural relaxation. The functional is PBE.

Summary:
**Energy**: -69.5 eV/f.u.

Cell: 9.9192 9.9192 8.9239 Å, 103.13 103.13 25.70°
Fractional coordinates of all 12 atoms:
La: 0.1674 0.1674 0.3341
La: 0.8326 0.8326 0.6659
Dy: 0.5000 0.5000 0.0000
Y: 0.1713 0.1713 0.8346
Y: 0.5000 0.5000 0.5000
Y: 0.8287 0.8287 0.1654
Te: 0.0052 0.0052 0.7537
Te: 0.3360 0.3360 0.9291
Te: 0.3376 0.3376 0.4080
Te: 0.6624 0.6624 0.5920
Te: 0.6640 0.6640 0.0709
Te: 0.9948 0.9948 0.2463

(2)
This record from Alexandria describes La3DyY2Te6 after structural relaxation. The functional is PBE.

Summary:
**Energy**: -68.6 eV/f.u.

Cell: 10.0228 10.0228 9.0124 Å, 103.89 103.89 25.59°
Fractional coordinates of all 12 atoms:
La: 0.0000 0.0000 0.0000
La: 0.3332 0.3332 0.6666
La: 0.6668 0.6668 0.3334
Dy: 0.0000 0.0000 0.5000
Y: 0.3332 0.3332 0.1666
Y: 0.6668 0.6668 0.8334
Te: 0.1628 0.1628 0.5921
Te: 0.1702 0.1702 0.0744
Te: 0.4965 0.4965 0.2597
Te: 0.5035 0.5035 0.7403
Te: 0.8298 0.8298 0.9256
Te: 0.8372 0.8372 0.4079